What to do.
Now copy only the last part of the calculation results below, starting with the line that has "PuCdHg2 after".
Given.
/*
PuCdHg2 after structural relaxation, computed with PBE.

Cell and atoms, written as POSCAR:
```
PuCdHg2
1.0
-0.5304 0.7260 5.0949
-4.6254 1.2186 1.9716
-2.5892 -3.4557 2.8497
Pu Cd Hg
1 1 2
Direct
0.0000 0.0000 0.0000
0.5000 0.5000 0.5000
0.2500 0.2500 0.2500
0.7500 0.7500 0.7500
```

Results
Calculated formation energy = -0.16 eV/atom


# Co2SiGe (PBE, optimized geometry)
data_Co2SiGe
_space_group_name_H-M_alt 'P 1'
_space_group_IT_number 1
_cell_length_a 4.5358
_cell_length_b 4.5341
_cell_length_c 4.5397
_cell_angle_alpha 89.28
_cell_angle_beta 90.00
_cell_angle_gamma 90.00
loop_
_space_group_symop_operation_xyz
'x,y,z'
loop_
*/
Reply.
PuCdHg2 after structural relaxation, computed with PBE.

Cell and atoms, written as POSCAR:
```
PuCdHg2
1.0
-0.5304 0.7260 5.0949
-4.6254 1.2186 1.9716
-2.5892 -3.4557 2.8497
Pu Cd Hg
1 1 2
Direct
0.0000 0.0000 0.0000
0.5000 0.5000 0.5000
0.2500 0.2500 0.2500
0.7500 0.7500 0.7500
```

Results
Calculated formation energy = -0.16 eV/atom


# Co2SiGe (PBE, optimized geometry)
data_Co2SiGe
_space_group_name_H-M_alt 'P 1'
_space_group_IT_number 1
_cell_length_a 4.5358
_cell_length_b 4.5341
_cell_length_c 4.5397
_cell_angle_alpha 89.28
_cell_angle_beta 90.00
_cell_angle_gamma 90.00
loop_
_space_group_symop_operation_xyz
'x,y,z'
loop_